What is needed: print only the lines underneath with the word "Ca" in them.

********
VASP calculation (r²SCAN) on an optimized crystal structure of YP3O9.

Output
* magnetization: 0.00 μB per atom
* energy relative to the elements: -267 kJ per mole of atoms
* final energy: -1095.87 eV per cell

a b c (Å): 12.882 12.882 12.882
angles (deg): 110.45 110.45 110.45
Atoms (fractional coordinates):
O (0.302, 0.286, 0.997)
O (0.181, 0.279, 0.743)
O (0.228, 0.140, 0.503)
O (0.698, 0.714, 0.003)
O (0.513, 0.890, 0.382)
O (0.274, 0.439, 0.146)
O (0.286, 0.997, 0.302)
O (0.003, 0.698, 0.714)
O (0.805, 0.978, 0.892)
O (0.375, 0.662, 0.314)
O (0.821, 0.400, 0.311)
O (0.121, 0.324, 0.914)
O (0.662, 0.314, 0.375)
O (0.050, 0.847, 0.323)
O (0.686, 0.625, 0.338)
O (0.503, 0.228, 0.140)
O (0.600, 0.689, 0.179)
O (0.439, 0.146, 0.274)
O (0.997, 0.302, 0.286)
O (0.978, 0.892, 0.805)
O (0.400, 0.311, 0.821)
O (0.879, 0.676, 0.086)
O (0.238, 0.937, 0.603)
O (0.195, 0.022, 0.108)
O (0.338, 0.686, 0.625)
O (0.689, 0.179, 0.600)
O (0.892, 0.805, 0.978)
O (0.108, 0.195, 0.022)
O (0.677, 0.950, 0.153)
O (0.625, 0.338, 0.686)
O (0.676, 0.086, 0.879)
O (0.063, 0.397, 0.762)
O (0.762, 0.063, 0.397)
O (0.311, 0.821, 0.400)
O (0.937, 0.603, 0.238)
O (0.086, 0.879, 0.676)
O (0.146, 0.274, 0.439)
O (0.022, 0.108, 0.195)
O (0.819, 0.721, 0.257)
O (0.110, 0.618, 0.487)
O (0.603, 0.238, 0.937)
O (0.630, 0.675, 0.508)
O (0.847, 0.323, 0.050)
O (0.772, 0.860, 0.497)
O (0.508, 0.630, 0.675)
O (0.950, 0.153, 0.677)
O (0.726, 0.561, 0.854)
O (0.675, 0.508, 0.630)
O (0.179, 0.600, 0.689)
O (0.714, 0.003, 0.698)
O (0.860, 0.497, 0.772)
O (0.743, 0.181, 0.279)
O (0.397, 0.762, 0.063)
O (0.323, 0.050, 0.847)
O (0.497, 0.772, 0.860)
O (0.914, 0.121, 0.324)
O (0.140, 0.503, 0.228)
O (0.382, 0.513, 0.890)
O (0.325, 0.492, 0.370)
O (0.153, 0.677, 0.950)
O (0.487, 0.110, 0.618)
O (0.721, 0.257, 0.819)
O (0.561, 0.854, 0.726)
O (0.854, 0.726, 0.561)
O (0.370, 0.325, 0.492)
O (0.492, 0.370, 0.325)
O (0.257, 0.819, 0.721)
O (0.618, 0.487, 0.110)
O (0.279, 0.743, 0.181)
O (0.324, 0.914, 0.121)
O (0.314, 0.375, 0.662)
O (0.890, 0.382, 0.513)
Y (0.000, 0.000, 0.000)
Y (0.979, 0.463, 0.268)
Y (0.463, 0.268, 0.979)
Y (0.537, 0.732, 0.021)
Y (0.500, 0.500, 0.500)
Y (0.268, 0.979, 0.463)
Y (0.732, 0.021, 0.537)
Y (0.021, 0.537, 0.732)
P (0.730, 0.481, 0.732)
P (0.328, 0.376, 0.790)
P (0.732, 0.730, 0.481)
P (0.982, 0.800, 0.700)
P (0.018, 0.200, 0.300)
P (0.700, 0.982, 0.800)
P (0.672, 0.624, 0.210)
P (0.233, 0.930, 0.714)
P (0.270, 0.519, 0.268)
P (0.070, 0.286, 0.767)
P (0.300, 0.018, 0.200)
P (0.800, 0.700, 0.982)
P (0.767, 0.070, 0.286)
P (0.624, 0.210, 0.672)
P (0.714, 0.233, 0.930)
P (0.790, 0.328, 0.376)
P (0.268, 0.270, 0.519)
P (0.200, 0.300, 0.018)
P (0.210, 0.672, 0.624)
P (0.481, 0.732, 0.730)
P (0.376, 0.790, 0.328)
P (0.286, 0.767, 0.070)
P (0.930, 0.714, 0.233)
P (0.519, 0.268, 0.270)

----------

Record 1
DFT (GGA-PBE) results for a relaxed Ca3Er3Ge2BO13 crystal.

- Electronic total energy: -7.459 eV/atom
- Energy above the most stable polymorph in this dataset: 4 meV/atom
- Space-group type: C2, No. 5

Unit cell a=7.389 b=7.389 c=7.392 alpha=60.28 beta=60.28 gamma=90.37
Sites, in units of the cell vectors:
B: 0.503 0.497 0.000
O: 0.154 0.858 0.298
O: 0.431 0.585 0.157
O: 0.146 0.453 0.706
O: 0.415 0.569 0.843
O: 0.851 0.162 0.296
O: 0.455 0.158 0.702
O: 0.838 0.149 0.704
O: 0.842 0.545 0.298
O: 0.992 0.008 0.000
O: 0.142 0.846 0.702
O: 0.425 0.250 0.157
O: 0.750 0.575 0.843
O: 0.547 0.854 0.294
Ca: 0.233 0.229 0.538
Ca: 0.231 0.769 0.000
Ca: 0.771 0.767 0.462
Ge: 0.247 0.753 0.500
Ge: 0.747 0.253 0.500
Er: 0.229 0.224 0.999
Er: 0.776 0.771 0.001
Er: 0.774 0.226 0.000

Record 2
DFT (GGA-PBE) results for a relaxed Na14Mg5Si6Sn3S6O48 crystal.

- Electronic total energy: -6.092 eV/atom
- Space-group type: P1, No. 1

Unit cell a=18.208 b=9.081 c=22.315 alpha=90.20 beta=89.77 gamma=120.26
Sites, in units of the cell vectors:
O: 0.018 0.814 0.698
O: 0.912 0.802 0.310
O: 0.258 0.829 0.751
O: 0.563 0.482 0.578
O: 0.514 0.215 0.196
O: 0.179 0.875 0.858
********

Ca: 0.233 0.229 0.538
Ca: 0.231 0.769 0.000
Ca: 0.771 0.767 0.462